<<<
# Nd2Mg | the Materials Project database | meta-GGA r2SCAN | relaxed
data_Nd2Mg
_chemical_formula_sum 'Nd4 Mg2'
_cell_length_a 3.859
_cell_length_b 3.859
_cell_length_c 12.801
_cell_angle_alpha 90.00
_cell_angle_beta 90.00
_cell_angle_gamma 90.00
_space_group_name_H-M_alt 'P 1'
_space_group_IT_number 1
loop_
_space_group_symop_operation_xyz
'x,y,z'
loop_
_atom_site_label
_atom_site_type_symbol
_atom_site_fract_x
_atom_site_fract_y
_atom_site_fract_z
Nd1 Nd 0.000 0.000 0.155
Nd2 Nd 0.000 0.000 0.845
Nd3 Nd 0.500 0.500 0.345
Nd4 Nd 0.500 0.500 0.655
Mg1 Mg 0.000 0.000 0.500
Mg2 Mg 0.500 0.500 0.000
# Formation enthalpy at 0 K = -0.196 eV/f.u.
# Polymorph energy (0 for the lowest one) = 0.007 eV per atom
# Space-group type = I4/mmm (139)
# E_tot = -21.0671 eV per atom

----------

Density functional theory data (PBE-GGA) for a geometry-optimized Li6HoB3O9 structure.

Lattice parameters (Å, degrees): 7.2442 16.5098 6.7021 90.00 105.34 90.00
Fractional coordinates of all 76 atoms:
Li: 0.0461 0.0301 0.1700
Li: 0.0461 0.4699 0.6700
Li: 0.0627 0.7049 0.0455
Li: 0.0627 0.7951 0.5455
Li: 0.1937 0.5352 0.0559
Li: 0.1937 0.9648 0.5559
Li: 0.2152 0.2059 0.8651
Li: 0.2152 0.2941 0.3651
Li: 0.3633 0.0532 0.9136
Li: 0.3633 0.4468 0.4136
Li: 0.4284 0.0044 0.3238
Li: 0.4284 0.4956 0.8238
Li: 0.5716 0.5044 0.1762
Li: 0.5716 0.9956 0.6762
Li: 0.6367 0.5532 0.5864
Li: 0.6367 0.9468 0.0864
Li: 0.7848 0.7059 0.6349
Li: 0.7848 0.7941 0.1349
Li: 0.8063 0.0352 0.4441
Li: 0.8063 0.4648 0.9441
Li: 0.9373 0.2049 0.4545
Li: 0.9373 0.2951 0.9545
Li: 0.9539 0.5301 0.3300
Li: 0.9539 0.9699 0.8300
Ho: 0.4205 0.6900 0.8472
Ho: 0.4205 0.8100 0.3472
Ho: 0.5795 0.1900 0.6528
Ho: 0.5795 0.3100 0.1528
B: 0.0615 0.6156 0.6899
B: 0.0615 0.8844 0.1899
B: 0.2146 0.1211 0.5013
B: 0.2146 0.3789 0.0013
B: 0.4163 0.6360 0.3384
B: 0.4163 0.8640 0.8384
B: 0.5837 0.1360 0.1616
B: 0.5837 0.3640 0.6616
B: 0.7854 0.6211 0.9987
B: 0.7854 0.8789 0.4987
B: 0.9385 0.1156 0.8101
B: 0.9385 0.3844 0.3101
O: 0.0376 0.0887 0.4139
O: 0.0376 0.4113 0.9139
O: 0.0803 0.6984 0.7296
O: 0.0803 0.8016 0.2296
O: 0.1051 0.0791 0.9225
O: 0.1051 0.4209 0.4225
O: 0.2247 0.5690 0.7715
O: 0.2247 0.9310 0.2715
O: 0.2412 0.2027 0.5583
O: 0.2412 0.2973 0.0583
O: 0.3562 0.6859 0.1657
O: 0.3562 0.8141 0.6657
O: 0.3808 0.0744 0.5435
O: 0.3808 0.4256 0.0435
O: 0.4118 0.5536 0.3241
O: 0.4118 0.9464 0.8241
O: 0.4909 0.6744 0.5285
O: 0.4909 0.8256 0.0285
O: 0.5091 0.1744 0.9715
O: 0.5091 0.3256 0.4715
O: 0.5882 0.0536 0.1759
O: 0.5882 0.4464 0.6759
O: 0.6192 0.5744 0.9565
O: 0.6192 0.9256 0.4565
O: 0.6438 0.1859 0.3343
O: 0.6438 0.3141 0.8343
O: 0.7588 0.7027 0.9417
O: 0.7588 0.7973 0.4417
O: 0.7753 0.0690 0.7285
O: 0.7753 0.4310 0.2285
O: 0.8949 0.5791 0.5775
O: 0.8949 0.9209 0.0775
O: 0.9197 0.1984 0.7704
O: 0.9197 0.3016 0.2704
O: 0.9624 0.5887 0.0861
O: 0.9624 0.9113 0.5861

Output
DFT formation energy: -2823 meV per atom
space-group type: P2_1/c, No. 14
final energy: -6.74 eV/atom

Density functional theory data (PBE-GGA) for a geometry-optimized CaH16O10 structure.

Lattice parameters (Å, degrees): 6.2077 6.3502 10.8366 92.33 91.68 90.81
Fractional coordinates of all 54 atoms:
Ca: 0.0000 0.0000 0.0000
Ca: 0.0143 0.0345 0.4844
H: 0.0182 0.5448 0.3786
H: 0.0289 0.4286 0.8914
H: 0.0335 0.4934 0.6284
H: 0.1212 0.7038 0.2257
H: 0.1285 0.3304 0.7233
H: 0.2608 0.6298 0.3978
H: 0.2611 0.6405 0.1093
H: 0.2792 0.3745 0.8938
H: 0.2914 0.9112 0.7773
H: 0.3087 0.1393 0.2246
H: 0.3439 0.8049 0.5971
H: 0.3527 0.4516 0.5913
H: 0.3537 0.2742 0.1050
H: 0.3632 0.7490 0.8852
H: 0.3960 0.2809 0.3943
H: 0.4656 0.0371 0.3830
H: 0.5080 0.0468 0.6222
H: 0.5519 0.9910 0.1193
H: 0.5569 0.0307 0.8841
H: 0.6229 0.7298 0.3943
H: 0.6229 0.7549 0.0952
H: 0.6447 0.2686 0.6025
H: 0.6472 0.4258 0.0723
H: 0.6990 0.8715 0.2831
H: 0.7008 0.1356 0.7865
H: 0.7091 0.6566 0.6116
H: 0.7199 0.5921 0.8935
H: 0.7540 0.3683 0.3904
H: 0.7965 0.8758 0.6633
H: 0.8731 0.3136 0.2289
H: 0.8827 0.6712 0.7958
H: 0.9613 0.4521 0.1210
O: 0.1117 0.6834 0.3781
>>>
Filter the data further up: keep the lines with the word "Ca".
Ca: 0.0000 0.0000 0.0000
Ca: 0.0143 0.0345 0.4844